Could you transcribe only the lines underneath with the word "Atoms" in them?
<<<
K2TbCrO4 | GGA+U | optimized geometry

a = 3.338 Å, b = 5.701 Å, c = 6.474 Å
α = 107.45°, β = 90.00°, γ = 90.00°
Atoms (fractional coordinates):
Cr1 0.000 0.000 0.000
O1 0.500 0.206 0.177
O2 0.000 0.750 0.183
O3 0.000 0.250 0.817
O4 0.500 0.794 0.823
K1 0.000 0.500 0.500
K2 0.500 0.000 0.500
Tb1 0.500 0.500 0.000

## Properties
electronic total energy: -6.4663 eV per atom
DOS at the Fermi energy: 0.0 states/eV per cell
SG: No. 10
total magnetization: 3.00 μB/f.u.



KTbCrO4 | GGA+U | optimized geometry

a = 5.857 Å, b = 5.885 Å, c = 7.404 Å
α = 90.00°, β = 108.07°, γ = 90.00°
Atoms (fractional coordinates):
K1 0.694 0.750 0.932
K2 0.306 0.250 0.068
O1 0.044 0.523 0.320
O2 0.956 0.477 0.680
O3 0.044 0.977 0.320
O4 0.540 0.250 0.808
O5 0.469 0.750 0.566
O6 0.956 0.023 0.680
O7 0.460 0.750 0.192
O8 0.531 0.250 0.434
Tb1 0.193 0.250 0.542
Tb2 0.807 0.750 0.458
Cr1 0.735 0.250 0.667
Cr2 0.265 0.750 0.333

## Properties
electronic total energy: -7.0037 eV per atom
DOS at the Fermi energy: 0.0 states/eV per cell
SG: No. 11
total magnetization: 2.00 μB/f.u.



K3Tb2CrO6 | GGA+U | optimized geometry

a = 5.848 Å, b = 5.848 Å, c = 6.510 Å
α = 98.58°, β = 98.58°, γ = 120.00°
Atoms (fractional coordinates):
Cr1 0.000 0.000 0.000
Tb1 0.333 0.667 0.000
Tb2 0.667 0.333 0.000
O1 0.371 0.061 0.182
O2 0.250 0.250 0.819
O3 0.939 0.629 0.818
O4 0.750 0.750 0.181
O5 0.629 0.939 0.818
O6 0.061 0.371 0.182
K1 0.163 0.837 0.500
K2 0.837 0.163 0.500
K3 0.500 0.500 0.500

## Properties
electronic total energy: -6.5298 eV per atom
DOS at the Fermi energy: 0.0 states/eV per cell
SG: No. 12
total magnetization: 2.99 μB/f.u.



KCrTcO6 | GGA+U | optimized geometry

a = 5.268 Å, b = 5.093 Å, c = 5.941 Å
α = 88.55°, β = 88.71°, γ = 60.21°
Atoms (fractional coordinates):
O1 0.603 0.399 0.686
O2 0.410 0.572 0.308
O3 0.001 0.399 0.318
O4 0.387 0.006 0.680
O5 0.003 0.621 0.671
O6 0.577 0.011 0.316
Cr1 0.685 0.652 0.480
K1 0.997 0.000 0.017
Tc1 0.337 0.341 0.524

## Properties
electronic total energy: -6.8686 eV per atom
SG: No. 1
total magnetization: 2.00 μB/f.u.



KCr2TcO8 | GGA+U | optimized geometry

a = 5.326 Å, b = 5.326 Å, c = 7.819 Å
α = 87.27°, β = 87.27°, γ = 63.45°
Atoms (fractional coordinates):
O1 0.716 0.206 0.825
O2 0.685 0.685 0.410
O3 0.211 0.211 0.926
O4 0.794 0.284 0.175
O5 0.284 0.794 0.175
O6 0.789 0.789 0.074
O7 0.315 0.315 0.590
O8 0.206 0.716 0.825
Cr1 0.640 0.640 0.212
Cr2 0.360 0.360 0.788
K1 0.000 0.000 0.500
Tc1 0.000 0.000 0.000

## Properties
electronic total energy: -6.8869 eV per atom
DOS at the Fermi energy: 3.2 states/eV per cell
SG: No. 12
total magnetization: 1.65 μB/f.u.



KCr2TcO | GGA+U | optimized geometry

a = 4.224 Å, b = 4.224 Å, c = 4.960 Å
α = 90.00°, β = 90.00°, γ = 90.00°
Atoms (fractional coordinates):
Tc1 0.500 0.500 0.500
O1 0.000 0.000 0.000
K1 0.000 0.000 0.500
Cr1 0.000 0.500 0.000
Cr2 0.500 0.000 0.000

## Properties
electronic total energy: -5.7217 eV per atom
DOS at the Fermi energy: 3.7 states/eV per cell
SG: No. 123
total magnetization: 9.16 μB/f.u.



K3CrTe2O9 | GGA+U | optimized geometry

a = 5.648 Å, b = 5.648 Å, c = 6.924 Å
α = 90.00°, β = 90.00°, γ = 120.00°
Atoms (fractional coordinates):
Te1 0.667 0.333 0.822
Te2 0.333 0.667 0.178
O1 0.830 0.170 0.673
O2 0.500 0.500 0.000
O3 0.170 0.830 0.327
O4 0.830 0.660 0.673
O5 0.660 0.830 0.327
O6 0.000 0.500 0.000
O7 0.500 0.000 0.000
O8 0.340 0.170 0.673
O9 0.170 0.340 0.327
Cr1 0.000 0.000 0.500
K1 0.333 0.667 0.664
K2 0.000 0.000 0.000
K3 0.667 0.333 0.336

## Properties
electronic total energy: -5.4302 eV per atom
DOS at the Fermi energy: 4.4 states/eV per cell
SG: No. 164
total magnetization: 3.09 μB/f.u.



K2CrTe2O6 | GGA+U | optimized geometry

a = 6.656 Å, b = 7.369 Å, c = 6.180 Å
α = 113.09°, β = 90.00°, γ = 116.85°
Atoms (fractional coordinates):
K1 0.655 0.311 0.167
K2 0.345 0.689 0.833
O1 0.690 0.985 0.267
O2 0.295 0.985 0.267
O3 0.705 0.015 0.733
O4 0.177 0.354 0.398
O5 0.310 0.015 0.733
O6 0.823 0.646 0.602
Te1 0.979 0.958 0.726
>>>
Atoms (fractional coordinates):
Atoms (fractional coordinates):
Atoms (fractional coordinates):
Atoms (fractional coordinates):
Atoms (fractional coordinates):
Atoms (fractional coordinates):
Atoms (fractional coordinates):
Atoms (fractional coordinates):